• Entries:
[1]
Crystalline SmDyTlAu at its relaxed geometry. Source: Alexandria, functional PBE.

Cell lengths 3.656, 3.656, 7.806 Å; angles 90.00, 90.00, 90.00 degrees
Positions (direct):
Sm 0.000 0.000 0.000
Dy 0.000 0.000 0.460
Tl 0.500 0.500 0.726
Au 0.500 0.500 0.251

Values from the calculation:
The calculation puts the formation enthalpy at 0 K at -601 meV/atom. The crystal system is tetragonal.


[2]
Crystalline NdCd2Sn at its relaxed geometry. Source: Alexandria, functional PBE.

Cell lengths 3.375, 3.375, 34.866 Å; angles 90.00, 90.00, 120.00 degrees
Positions (direct):
Nd 0.000 0.000 0.000
Nd 0.333 0.667 0.667
Nd 0.667 0.333 0.333
Cd 0.000 0.000 0.092
Cd 0.000 0.000 0.908
Cd 0.333 0.667 0.575
Cd 0.333 0.667 0.758
Cd 0.667 0.333 0.242
Cd 0.667 0.333 0.425
Sn 0.000 0.000 0.500
Sn 0.333 0.667 0.167
Sn 0.667 0.333 0.833

Values from the calculation:
The calculation puts the formation enthalpy at 0 K at 161 meV/atom. The crystal system is trigonal.


{
  "formula": "Ba2AgGe",
  "functional": "GGA-PBE",
  "state": "optimized geometry",
  "sg": "F-43m (216)",
  "crystal_system": "cubic",
  "total_energy_ev_per_atom": -2.894,
  "lattice_angstrom": [[0.000, 3.964, 3.964], [3.964, 0.000, 3.964], [3.964, 3.964, 0.000]],
  "species": ["Ag", "Ge", "Ba", "Ba"],
  "fractional_positions": [[0.750, 0.750, 0.750], [0.000, 0.000, 0.000], [0.250, 0.250, 0.250], [0.500, 0.500, 0.500]]
}


# 1
Sr2InCuO5: optimized geometry, GGA-PBE.

Output
formation energy from raw total energies = -1.753 eV/atom
crystal system = orthorhombic

a = 3.4281 Å, b = 7.1554 Å, c = 10.6460 Å
α = 90.00°, β = 90.00°, γ = 103.86°
Last column: nearest neighbours and their distance in Å.
Element x y z (fractional)
Sr (0.8952, 0.7904, 0.1822)  6 O 2.52-2.66
O (0.5085, 0.0169, 0.2789)  1 Cu 1.89
Sr (0.8599, 0.7198, 0.8159)  7 O 2.54-2.68
In (0.7931, 0.5861, 0.5230)  6 O 2.19-2.28
O (0.3251, 0.6502, 0.3888)  1 Cu 2.12, 2 In 2.28
O (0.4915, 0.9831, 0.7789)  1 Cu 1.89
O (0.0449, 0.0899, 0.0271)  2 Cu 1.92
O (0.7146, 0.4292, 0.1585)  2 In 2.24
Cu (0.5295, 0.0589, 0.9493)  3 O 1.89-1.92
Sr (0.1401, 0.2802, 0.3159)  7 O 2.54-2.68
O (0.3635, 0.7270, 0.0001)  1 In 2.19, 1 Cu 2.37
In (0.2069, 0.4139, 0.0230)  6 O 2.19-2.28
O (0.6365, 0.2730, 0.5001)  1 In 2.19, 1 Cu 2.37
O (0.6749, 0.3498, 0.8888)  1 Cu 2.12, 2 In 2.28
Sr (0.1048, 0.2096, 0.6822)  6 O 2.52-2.66
O (0.9551, 0.9101, 0.5271)  2 Cu 1.92
Cu (0.4705, 0.9411, 0.4493)  3 O 1.89-1.92
O (0.2854, 0.5708, 0.6585)  2 In 2.24

---

# 2
BiAsOs: optimized geometry, GGA-PBE.

Output
ΔH_f (0 K) = 94 kJ/mol of formula units
crystal system = tetragonal

a = 3.9101 Å, b = 8.5581 Å, c = 8.5581 Å
α = 90.00°, β = 90.00°, γ = 90.00°
Last column: nearest neighbours and their distance in Å.
Element x y z (fractional)
As (0.0000, 0.5383, 0.2652)  3 Os 2.41-2.43
Bi (0.5000, 0.7392, 0.9406)  3 Os 2.73-2.80
Os (0.0000, 0.2584, 0.2935)  3 As 2.41-2.43
Os (0.5000, 0.7065, 0.2584)  3 As 2.41-2.43
Bi (0.0000, 0.0594, 0.7392)  3 Os 2.73-2.80
As (0.0000, 0.4617, 0.7348)  3 Os 2.41-2.43
Os (0.0000, 0.7416, 0.7065)  3 As 2.41-2.43
As (0.5000, 0.7348, 0.5383)  3 Os 2.41-2.43
Bi (0.5000, 0.2608, 0.0594)  3 Os 2.73-2.80
As (0.5000, 0.2652, 0.4617)  3 Os 2.41-2.43
Bi (0.0000, 0.9406, 0.2608)  3 Os 2.73-2.80
Os (0.5000, 0.2935, 0.7416)  3 As 2.41-2.43

---

# 3
TbCe2Er: optimized geometry, GGA-PBE.

Output
distance to the lowest polymorph of the same formula = 140 meV per atom
ΔH_f (0 K) = 88 kJ/mol of formula units
crystal system = cubic

a = 5.6204 Å, b = 5.6204 Å, c = 5.6204 Å
α = 60.00°, β = 60.00°, γ = 60.00°
Last column: nearest neighbours and their distance in Å.
Element x y z (fractional)
Tb (0.0000, 0.0000, 0.0000)  8 Ce 3.44
Er (0.5000, 0.5000, 0.5000)  8 Ce 3.44
Ce (0.7500, 0.7500, 0.7500)  4 Er 3.44, 4 Tb 3.44
Ce (0.2500, 0.2500, 0.2500)  4 Er 3.44, 4 Tb 3.44

---

# 4
TbNd2Sm3: optimized geometry, GGA-PBE.

Output
distance to the lowest polymorph of the same formula = 109 meV per atom
ΔH_f (0 K) = 101 kJ/mol of formula units

• Job:
Next, copy every line further above that contains the word "F-43m".

• Response:
  "sg": "F-43m (216)",